case the shield affords compensation for the
want of rapidity of motion to animals that have
no ready means of escape by flight or concealment
from their enemies. We learn from Geology
that this Order began to exist nearly at the
same time with the Order of Saurians, and has
continued coextensively with them through the
secondary and tertiary formations, unto the present
time : their fossil remains present also the
same threefold divisions that exist among modern
Testudinata, into groups respectively adapted
to live in salt and fresh water, and upon the
Animals of this Order have yet been found
only in strata more recent than the carboniferous
series.* The earliest example recorded by Cuvier,
(Oss. Foss. Yol. 5, Pt. 2, p. 525), is that of a
very large species of Sea Turtle, the shell of
which was eight feet long, occurring in the Mus-
First-principles (PBE-GGA) data for Li2ZrSb after structural relaxation, as listed in Alexandria.

abc: 4.8043 4.8043 4.8043
angles: 60.00 60.00 60.00
Last column: nearest neighbours and their distance in Å.
Atoms (fractional coordinates):
Li 0.2500 0.2500 0.2500  4 Li 2.94, 4 Sb 2.94
Li 0.0000 0.0000 0.0000  4 Li 2.94, 4 Zr 2.94
Sb 0.5000 0.5000 0.5000  4 Zr 2.94, 4 Li 2.94
Zr 0.7500 0.7500 0.7500  4 Li 2.94, 4 Sb 2.94

Summary:
The total energy is -4.32 eV per atom. The formation energy (no corrections) is -199 meV/atom.


Entry from Alexandria via LeMat-Bulk: a geometry-optimized MnZnAg4 structure (PBE).

Computed properties:
energy relative to the elements: 0.3405 eV per atom
E: -19.81 eV for the cell shown

Cell lengths 5.433, 5.433, 5.433 Å; angles 60.00, 60.00, 60.00 degrees
Last column: magnetic moment on the atom in μB.
Positions (direct):
Mn  0.250  0.250  0.250  4.18
Zn  0.000  0.000  0.000  -0.03
Ag  0.625  0.625  0.125  0.00
Ag  0.625  0.125  0.625  0.00
Ag  0.625  0.625  0.625  0.00
Ag  0.125  0.625  0.625  0.00

Entry from Alexandria via LeMat-Bulk: a geometry-optimized AlTcBr structure (PBE).

Computed properties:
energy relative to the lowest polymorph listed for this composition: 213 meV per atom
E: -14.37 eV for the cell shown
formation energy without anion corrections: 1.4 eV/f.u.

Cell lengths 6.872, 6.525, 3.117 Å; angles 82.84, 70.41, 26.75 degrees
Last column: magnetic moment on the atom in μB.
Positions (direct):
Tc  0.656  0.656  0.344  0.36
Br  0.336  0.336  0.664  0.01
Al  0.008  0.008  0.992  -0.01

Entry from Alexandria via LeMat-Bulk: a geometry-optimized Sr2CePmAs4 structure (PBE).

Computed properties:
energy relative to the elements: -1.2380 eV per atom
E: -42.55 eV for the cell shown

Cell lengths 4.334, 7.519, 7.589 Å; angles 109.35, 90.00, 90.00 degrees
Positions (direct):
Sr  0.500  0.000  0.500
Sr  0.000  0.500  0.500
Ce  0.000  0.000  0.000
Pm  0.500  0.500  0.000
As  0.500  0.236  0.222
As  0.500  0.764  0.778
As  0.000  0.254  0.774
As  0.000  0.746  0.226

Entry from Alexandria via LeMat-Bulk: a geometry-optimized LaPrHgPd structure (PBE).

Computed properties:
energy relative to the elements: -0.5620 eV per atom
E: -17.45 eV for the cell shown

Cell lengths 5.347, 5.347, 5.347 Å; angles 60.00, 60.00, 60.00 degrees
Positions (direct):
Pr  0.500  0.500  0.500
Hg  0.250  0.250  0.250
Pd  0.750  0.750  0.750
La  0.000  0.000  0.000

Entry from Alexandria via LeMat-Bulk: a geometry-optimized Sr3LaFe structure (PBE).

Computed properties:
energy relative to the lowest polymorph listed for this composition: 888 meV per atom
energy relative to the elements: 1.4087 eV per atom
E: -11.39 eV for the cell shown

Cell lengths 6.133, 6.133, 6.133 Å; angles 90.00, 90.00, 90.00 degrees
Last column: magnetic moment on the atom in μB.
Positions (direct):
Sr  0.000  0.500  0.000  0.04
Sr  0.000  0.000  0.500  0.08
Sr  0.500  0.000  0.000  0.01
Fe  0.500  0.500  0.500  3.31
La  0.000  0.000  0.000  0.33
chelkalk at Luneville. Another marine species
has been found at Glaris, in slate referrible to
the lower cretaceous formation. A third occurs
in the upper cretaceous freestone at Maestricht.
All these are associated with the remains of other
animals that are marine ; and though they differ
both from living Turtles and from one another,
they still exhibit such general accordance in
* The fragment from the Caithness slate, engraved in the Geol.
Trans. Lond. V. iii. PI. 16, Fig. 6, as portions of a trionyx, is
pronounced by M. Agassiz to be part of a fish.
the principles of their construction, with the
conditions by which existing Turtles are fitted
for their marine abode, that Cuvier was at once
enabled to pronounce these fossil species to have
been indubitably inhabitants of the sea.*
The genera Trionyx and Emys, present their
fossil species in the Wealden freshwater formations
of the Secondary series; and still more
abundantly in the Tertiary lacustrine deposits ;
all these appear to have lived and died, under
circumstances analogous to those which attend
their cognate species in the lakes and rivers of
the present tropics. They have also been found
* Plate 25', Fig. 4, represents a Turtle from the slate of
Glaris: it is shewn to have been marine by the unequal elongation
of the toes in the anterior paddle ; because, in freshwater
Tortoises, all the toes are nearly equal, and of moderate length ;
and in land Tortoises, they are also nearly equal, and short; but
in all marine species they are very long, and the central toe of
the anterior paddle, is by much the longest of all. The accordance
with this latter condition in the specimen before us, is at
once apparent; and both in this respect and in general structure,
it approaches very nearly to living genera. This figure is copied
from Vol. 5, Pt. 2, Tab. 14, f . 4, of the Oss. Foss, of Cuvier.
M. Agassiz has favoured me with the following details respecting
important parts which are imperfectly represented in the drawing
from which Cuvier’s engraving was taken. “ The ribs show
evidently that it is nearly connected with the genera Chelonia
and Sphargis, but referrible to no known species; the fingers of
the left fore paddle are five in number; the two exterior are the
shortest, and have each three articulations; and the three internal
fingers, of which the middle one is the longest, have
each four articulations, as in the existing genera, Chelonia and
G. S